_Exercise_
Now echo all of the notes further down unchanged.

_Data_
-- begin --
Entry 1:
Below is an optimized crystal structure of YTmInPb, with properties calculated at the PBE level.

a = 5.3705 Å, b = 5.3705 Å, c = 5.3705 Å
α = 60.00°, β = 60.00°, γ = 60.00°
Last column: nearest neighbours and their distance in Å.
Element x y z (fractional)
Y: 0.0000 0.0000 0.0000  4 Pb 3.29, 4 In 3.29
Tm: 0.5000 0.5000 0.5000  4 In 3.29, 4 Pb 3.29
In: 0.2500 0.2500 0.2500  4 Tm 3.29, 4 Y 3.29
Pb: 0.7500 0.7500 0.7500  4 Tm 3.29, 4 Y 3.29

Properties
* distance to the lowest polymorph of the same formula: 0.18 eV per formula unit
* theoretical density: 8.8 Mg/m³
* energy: -18.9 eV/cell
* symmetry: F-43m
* calculated formation energy: -0.3887 eV per atom
* DOS(E_F): 1.012 states/eV per atom

=====

Entry 2:
Below is an optimized crystal structure of YTmInPb, with properties calculated at the PBE level.

a = 5.6312 Å, b = 5.6312 Å, c = 5.6312 Å
α = 127.77°, β = 127.77°, γ = 77.00°
Last column: nearest neighbours and their distance in Å.
Element x y z (fractional)
Y: 0.0000 0.0000 0.0000  4 In 3.32, 4 Pb 3.32, 4 Tm 3.51
Tm: 0.5000 0.5000 0.0000  4 In 3.32, 4 Pb 3.32, 4 Y 3.51
In: 0.7500 0.2500 0.5000  4 Tm 3.32, 4 Y 3.32, 4 Pb 3.51
Pb: 0.2500 0.7500 0.5000  4 Tm 3.32, 4 Y 3.32, 4 In 3.51

Properties
* distance to the lowest polymorph of the same formula: 0.00 eV per formula unit
* theoretical density: 8.9 Mg/m³
* energy: -19.1 eV/cell
* symmetry: I-4m2
* calculated formation energy: -0.4330 eV per atom
* DOS(E_F): 0.741 states/eV per atom
-- stop --

_Done_
Entry 1:
Below is an optimized crystal structure of YTmInPb, with properties calculated at the PBE level.

a = 5.3705 Å, b = 5.3705 Å, c = 5.3705 Å
α = 60.00°, β = 60.00°, γ = 60.00°
Last column: nearest neighbours and their distance in Å.
Element x y z (fractional)
Y: 0.0000 0.0000 0.0000  4 Pb 3.29, 4 In 3.29
Tm: 0.5000 0.5000 0.5000  4 In 3.29, 4 Pb 3.29
In: 0.2500 0.2500 0.2500  4 Tm 3.29, 4 Y 3.29
Pb: 0.7500 0.7500 0.7500  4 Tm 3.29, 4 Y 3.29

Properties
* distance to the lowest polymorph of the same formula: 0.18 eV per formula unit
* theoretical density: 8.8 Mg/m³
* energy: -18.9 eV/cell
* symmetry: F-43m
* calculated formation energy: -0.3887 eV per atom
* DOS(E_F): 1.012 states/eV per atom

=====

Entry 2:
Below is an optimized crystal structure of YTmInPb, with properties calculated at the PBE level.

a = 5.6312 Å, b = 5.6312 Å, c = 5.6312 Å
α = 127.77°, β = 127.77°, γ = 77.00°
Last column: nearest neighbours and their distance in Å.
Element x y z (fractional)
Y: 0.0000 0.0000 0.0000  4 In 3.32, 4 Pb 3.32, 4 Tm 3.51
Tm: 0.5000 0.5000 0.0000  4 In 3.32, 4 Pb 3.32, 4 Y 3.51
In: 0.7500 0.2500 0.5000  4 Tm 3.32, 4 Y 3.32, 4 Pb 3.51
Pb: 0.2500 0.7500 0.5000  4 Tm 3.32, 4 Y 3.32, 4 In 3.51

Properties
* distance to the lowest polymorph of the same formula: 0.00 eV per formula unit
* theoretical density: 8.9 Mg/m³
* energy: -19.1 eV/cell
* symmetry: I-4m2
* calculated formation energy: -0.4330 eV per atom
* DOS(E_F): 0.741 states/eV per atom